THOSE who have read the forgoing article will understand something of the reasons why Adventists suffer imprisonment rather than keep Sunday. But a few additional facts on this point will not be out of place.
We have already seen that Adventists regard it as a sacred duty to habitually treat Sunday as a secular day, because they understand that the fourth commandment establishes a difference between the Sabbath and the six other days of the week, and requires men to respect that difference. To ignore this distinction between the Sabbath and the other days of the week would be simply to defeat the object of the divine law, and to set up a counterfeit of the divine law, and to set up a counterfeit of the memorial which God has ordained to keep in view the fact that he is the Creator of the heavens and the earth, and the sanctifier of his people. [268]
As the Adventists view it, physical rest for man is not the primary object of the Sabbath; for it “was made for man” before the fall, and consequently before man stood in need of rest from wearing toil. Its object was clearly to keep in lively exercise man’s loyalty to God as the Creator. The Fourth of July is designed to fan the flame of patriotism in the American breast, and is a finite illustration of the infinite wisdom and purpose of God in creating the Sabbath for man. Viewed from this standpoint, it is plain that the fourth commandment not only enjoins the keeping of the true Sabbath, but likewise forbids rivals and counterfeits.
Every law must show in some way the authority by which it was enacted, and this the Decalogue does only in the fourth commandment. In that precept it is declared that the giver of the law is the Creator of the heavens and the earth. It is this fact that gives the Sabbath its memorial character. The Sabbath commandment is in fact the seal of God’s law, as it alone designates the Giver of the law, and states the basis of His authority to require obedience.
In like manner, the Sunday institution is the seal or mark of a rival power. It was anciently the badge of sun worship, the “wild solar holiday of all pagan times.” [269] It was dedicated to the worship of the sun and to the most abominable and revolting idolatries. In modern times it is set forth by the Roman Catholic Church as the badge of her authority, as will appear from the following quotations from standard Roman Catholic authorities:—
Question.—Have you any other way of proving that the church has power to institute festivals of precept?
Record 1
Starting from a cell relaxed with PBE, the X-ray diffraction stick pattern of GdLuPt was calculated for a wavelength of 1.5418 Å.
Lines closer than 0.1° are merged.

Cell and atoms:
```
GdLuPt
1.0
6.8397 0.0000 0.0000
0.0000 6.8397 0.0000
0.0000 0.0000 6.8397
Gd Lu Pt
4 4 4
direct
0.0000 0.0000 0.0000
0.0000 0.5000 0.5000
0.5000 0.0000 0.5000
0.5000 0.5000 0.0000
0.0000 0.0000 0.5000
0.0000 0.5000 0.0000
0.5000 0.0000 0.0000
0.5000 0.5000 0.5000
0.2500 0.2500 0.2500
0.2500 0.7500 0.7500
0.7500 0.2500 0.7500
0.7500 0.7500 0.2500
```

Peak list (8 most intense, 10 to 80 degrees two-theta, low angle first)
Position (°2θ)  d_spacing  I (rel.)
22.52  3.949  32.7
26.06  3.420  8.8
37.18  2.418  100.0
43.90  2.062  17.3
53.60  1.710  17.6
58.85  1.569  7.4
67.03  1.396  36.1
79.23  1.209  11.4

Record 2
Starting from a cell relaxed with PBE, the X-ray diffraction stick pattern of Li3Cd2Au6 was calculated for a wavelength of 1.5418 Å.
Lines closer than 0.1° are merged.

Cell and atoms:
```
Li3Cd2Au6
1.0
-1.9207 1.9207 14.3626
1.9207 -1.9207 14.3626
1.9207 1.9207 -14.3626
Li Cd Au
3 2 6
direct
0.0000 0.0000 0.0000
0.1325 0.1325 0.0000
0.8675 0.8675 0.0000
0.3218 0.3218 0.0000
0.6782 0.6782 0.0000
0.0693 0.5693 0.5000
0.2206 0.2206 0.0000
0.4307 0.9307 0.5000
0.5693 0.0693 0.5000
0.7794 0.7794 0.0000
0.9307 0.4307 0.5000
```

Peak list (8 most intense, 10 to 80 degrees two-theta, low angle first)
Position (°2θ)  d_spacing  I (rel.)
18.53  4.788  41.0
24.80  3.591  42.0
33.58  2.669  100.0
36.60  2.455  26.3
38.09  2.363  35.9
41.69  2.166  19.0
47.33  1.921  38.3
54.15  1.694  20.2

Record 3
Starting from a cell relaxed with PBE, the X-ray diffraction stick pattern of KTaMo was calculated for a wavelength of 1.5418 Å.
Lines closer than 0.1° are merged.

Cell and atoms:
```
KTaMo
1.0
3.2854 0.0000 0.0000
0.0000 5.0558 0.0000
0.0000 0.0000 16.6006
K Ta Mo
4 4 4
direct
0.0000 0.0000 0.0000
0.0000 0.5000 0.5000
0.5000 0.0000 0.5000
0.5000 0.5000 0.0000
0.0000 0.0000 0.3032
0.0000 0.5000 0.8032
0.5000 0.0000 0.8032
0.5000 0.5000 0.3032
0.0000 0.0000 0.6866
0.0000 0.5000 0.1866
0.5000 0.0000 0.1866
0.5000 0.5000 0.6866
```

Peak list (8 most intense, 10 to 80 degrees two-theta, low angle first)
Position (°2θ)  d_spacing  I (rel.)
10.66  8.300  100.0
32.36  2.767  11.6
35.51  2.528  20.5
36.43  2.466  63.2
37.18  2.418  10.8
42.65  2.120  25.7
50.80  1.797  12.2
64.37  1.447  11.6

Record 4
Starting from a cell relaxed with PBE, the X-ray diffraction stick pattern of NaMgBr3 was calculated for a wavelength of 1.5418 Å.
Lines closer than 0.1° are merged.

Cell and atoms:
```
NaMgBr3
1.0
7.1175 0.0000 0.0000
-3.5587 6.1639 0.0000
0.0000 0.0000 9.8301
Na Mg Br
2 2 6
direct
0.0000 0.0000 0.2092
0.0000 0.0000 0.7908
0.3333 0.6667 0.0000
0.6667 0.3333 0.0000
0.0000 0.3831 0.8398
0.0000 0.6169 0.1602
0.3831 0.0000 0.8398
0.3831 0.3831 0.1602
0.6169 0.0000 0.1602
0.6169 0.6169 0.8398
```

Peak list (8 most intense, 10 to 80 degrees two-theta, low angle first)
Back to the text:
Answer.—Had she not such power she could not have done that in which all modern religionists agree with her;—she could not have substituted the observance of Sunday, the first day of the week, for the observance of Saturday, the seventh day, a change for which there is no scriptural authority. [270]
Question.—How prove you that the church hath power to command feasts and holy days?
Entry 1:
Structure and computed powder X-ray diffraction pattern of Zr6CCl14 (a crystal structure in the Materials Project, relaxed with PBE; a wavelength of 1.5418 Å).
Intensities are scaled so that the largest is 100.

The 12 most intense peaks (10 to 90 degrees two-theta), by angle:
2θ 11.90, intensity 100; 2θ 12.34, intensity 8; 2θ 25.02, intensity 12; 2θ 31.50, intensity 7; 2θ 31.80, intensity 7; 2θ 32.37, intensity 9; 2θ 35.98, intensity 13; 2θ 36.76, intensity 30; 2θ 38.41, intensity 13; 2θ 40.76, intensity 8; 2θ 42.24, intensity 8; 2θ 49.14, intensity 12

Structure:
```
data_Zr6CCl14
_symmetry_space_group_name_H-M 'P 1'
_symmetry_Int_Tables_number 1
_symmetry_space_group_name_Hall 'P 1'
_cell_length_a 9.6777
_cell_length_b 9.6777
_cell_length_c 11.6933
_cell_angle_alpha 90.00
_cell_angle_beta 90.00
_cell_angle_gamma 84.36
loop_
_atom_site_label
_atom_site_fract_x
_atom_site_fract_y
_atom_site_fract_z
Zr1 0.0460 0.1836 0.8832
Zr2 0.1441 0.8559 0.8950
Zr3 0.1836 0.0460 0.1168
Zr4 0.3164 0.4540 0.6168
Zr5 0.3559 0.6441 0.3950
Zr6 0.4540 0.3164 0.3832
Zr7 0.5460 0.6836 0.6168
Zr8 0.6441 0.3559 0.6050
Zr9 0.6836 0.5460 0.3832
Zr10 0.8164 0.9540 0.8832
Zr11 0.8559 0.1441 0.1050
Zr12 0.9540 0.8164 0.1168
C1 0.0000 0.0000 0.0000
C2 0.5000 0.5000 0.5000
Cl1 0.0354 0.2097 0.2473
Cl2 0.1033 0.3967 0.7500
Cl3 0.1155 0.6380 0.0089
Cl4 0.1380 0.6155 0.5089
Cl5 0.1568 0.8432 0.2603
Cl6 0.2097 0.0354 0.7527
Cl7 0.2486 0.2486 0.0000
Cl8 0.2514 0.2514 0.5000
Cl9 0.2903 0.4646 0.2527
Cl10 0.3432 0.6568 0.7603
Cl11 0.3620 0.8845 0.0089
Cl12 0.3845 0.8620 0.5089
Cl13 0.3967 0.1033 0.2500
Cl14 0.4646 0.2903 0.7473
Cl15 0.5354 0.7097 0.2527
Cl16 0.6033 0.8967 0.7500
Cl17 0.6155 0.1380 0.4911
Cl18 0.6380 0.1155 0.9911
Cl19 0.6568 0.3432 0.2397
Cl20 0.7097 0.5354 0.7473
Cl21 0.7486 0.7486 0.5000
Cl22 0.7514 0.7514 0.0000
Cl23 0.7903 0.9646 0.2473
Cl24 0.8432 0.1568 0.7397
Cl25 0.8620 0.3845 0.4911
Cl26 0.8845 0.3620 0.9911
Cl27 0.8967 0.6033 0.2500
Cl28 0.9646 0.7903 0.7527
```

Entry 2:
Structure and computed powder X-ray diffraction pattern of SmMg3 (a crystal structure in the Materials Project, relaxed with PBE; a wavelength of 1.5418 Å).
Intensities are scaled so that the largest is 100.

The 12 most intense peaks (10 to 90 degrees two-theta), by angle:
2θ 20.85, intensity 69; 2θ 24.13, intensity 37; 2θ 34.38, intensity 100; 2θ 40.55, intensity 38; 2θ 42.44, intensity 11; 2θ 49.41, intensity 18; 2θ 54.19, intensity 16; 2θ 55.72, intensity 15; 2θ 61.58, intensity 36; 2θ 65.77, intensity 12; 2θ 76.36, intensity 12; 2θ 82.73, intensity 15

Structure:
```
data_SmMg3
_symmetry_space_group_name_H-M 'P 1'
_symmetry_Int_Tables_number 1
_symmetry_space_group_name_Hall 'P 1'
_cell_length_a 5.2170
_cell_length_b 5.2170
_cell_length_c 5.2170
_cell_angle_alpha 60.00
_cell_angle_beta 60.00
_cell_angle_gamma 60.00
loop_
_atom_site_label
_atom_site_fract_x
_atom_site_fract_y
_atom_site_fract_z
Sm1 0.0000 0.0000 0.0000
Mg1 0.2500 0.2500 0.2500
Mg2 0.5000 0.5000 0.5000
Here the page continues
Answer.—By the very act of changing the Sabbath into Sunday, which Protestants allow of; and therefore they fondly contradict themselves, by keeping Sunday strictly, and breaking most other feasts commanded by the same church.
Question.—How prove you that?
Answer.—Because by keeping Sunday, they acknowledge the church’s power to ordain feasts, and to command them under sin. [271]
Thus the observance of Sunday by the Protestants is an homage [worship] they pay, in spite of themselves, to the authority of the [Roman Catholic] church. [272]
Believing that papacy to be antichrist, and holding the Sunday Sabbath to be the badge of its power, it is evident that with Adventists the observance of Sunday would be equivalent to rendering homage to antichrist,—hence their steadfast refusal to obey Sunday laws, and their willingness to suffer imprisonment, the chain-gang, and even death itself rather than so much as appear to regard Sunday other than a common working day. It is not, as many seem to regard it, simply a matter of a choice of days for physical rest, but is with the Adventists a vital question directly affecting their salvation. These facts show most conclusively that Sunday laws do interfere at least with the religious rights of Adventists by requiring of them a service which they cannot conscientiously render. This is in addition to the hardship of being deprived of one-sixth of the time divinely allotted to them for their work.
But let not the reader of this image for a moment that Seventh-day Adventists render themselves unnecessarily obnoxious to their neighbors by making an unnecessary display of their disregard for Sunday. It is a settled principle with Adventists to do unto others as they would be done by. For this reason they avoid doing on Sunday anything that would be likely to be a real disturbance in the community in which they live; and this they do, whether there is a Sunday law or not, our of regard for their neighbors. They go even farther than required by the Golden Rule, for they do not expect that a like regard will be paid to them, or to their feelings upon the Sabbath. They recognize the fact that they are a minority, and they are willing to suffer any inconvenience or loss to which they may be subjected to for this reason, provided it is not a sacrifice of principle.
Seventh-day Adventists are a sober, industrious, peace-loving people. They are not found in our courts of justice except as they are haled there for violation of the Sunday laws. Their enemies themselves being witnesses, they are in all other respects model citizens; but upon this point they are unyielding. They will not deny their faith nor prove untrue to their principles and to their God.
It is a significant fact that while hundreds, yes thousands, of people all over the land are working on Sunday, many of them habitually, very few of them comparatively are prosecuted; while Seventh-day Adventists are singled out and made the victims of unjust and unequal laws. In Rhea County, Tennessee, hundreds of men are employed on Sunday in various lines of work, but only the Adventists are prosecuted. One man, not an Adventist, was indicted last November, but when his case was called to trial at the recent term of court, the prosecuting witness refused to prosecute the case, and it was promptly thrown out of court, but every Adventist was [116] diligently prosecuted, and promptly convicted. The same condition of affairs prevails elsewhere, and the explanation of the latter is that it is not the Sunday work of the Adventists that offends their neighbors, but their Sabbath rest. As was stated by a resident of Graysville, not long since, the object of the persecution is “to make them quit their Saturday keeping;” and as a resident of Western Tennessee expressed it some years since, “We are not going to have them teaching our children that Sunday is not the Sabbath and that Saturday is.” [116]